Excerpt.
********
Simulated X-ray powder pattern
Compound: Li4CuNi3O8
Radiation: Cu Kα (weighted mean of Kα1 and Kα2)
Structure: a cell relaxed with GGA+U
Peak positions follow from Bragg's law for the DFT cell and can differ from measured ones.

Peak list (10 most intense, 2θ = 10–90°, in order of rising 2θ)
2θ/deg	Rel. int.	index
18.54	100	2 0 -1
33.85	24	2 0 1
37.22	24	0 2 1
38.10	11	2 2 0
40.56	31	4 0 0
45.42	44	2 2 -2
47.65	13	4 2 -1
59.75	10	4 2 -3
62.17	14	2 2 2
62.83	14	6 2 -2

Cell lengths 10.5158, 5.5744, 5.7260 Å; angles 90.00, 122.21, 90.00 degrees
Space group C2/m (No. 12)
One atom of each set of equivalent atoms:
Li (0.0000, 0.0000, 0.0000) [2 per cell]
Li (0.0000, 0.5000, 0.0000) [2 per cell]
Li (0.2500, 0.2500, 0.5000) [4 per cell]
Cu (0.0000, 0.0000, 0.5000) [2 per cell]
Ni (0.0000, 0.5000, 0.5000) [2 per cell]
Ni (0.2500, 0.2500, 0.0000) [4 per cell]
O (0.0035, 0.2450, 0.7265) [8 per cell]
O (0.2261, 0.5000, 0.1997) [4 per cell]
O (0.2469, 0.5000, 0.7671) [4 per cell]


Simulated X-ray powder pattern
Compound: Li2CuNiO4
Radiation: Cu Kα (weighted mean of Kα1 and Kα2)
Structure: a cell relaxed with GGA+U
Peak positions follow from Bragg's law for the DFT cell and can differ from measured ones.

Peak list (10 most intense, 2θ = 10–90°, in order of rising 2θ)
2θ/deg	Rel. int.	index
18.61	100	0 1 1
35.59	15	1 0 3
36.26	15	1 2 1
36.37	14	2 1 1
37.67	12	0 2 2
37.81	12	2 0 2
43.03	25	0 0 4
44.27	47	2 2 0
47.82	10	1 2 3
63.44	26	2 2 4

Cell lengths 5.7716, 5.8032, 8.4084 Å; angles 90.00, 90.00, 90.00 degrees
Space group Imma (No. 74)
One atom of each set of equivalent atoms:
Li (0.0000, 0.0000, 0.0000) [4 per cell]
Li (0.2500, 0.2500, 0.2500) [4 per cell]
Cu (0.0000, 0.0000, 0.5000) [4 per cell]
Ni (0.2500, 0.2500, 0.7500) [4 per cell]
O (0.0000, 0.0232, 0.7528) [8 per cell]
O (0.2404, 0.2500, 0.5221) [8 per cell]


> Number 2 is which compound?

Li2CuNiO4


Copy entry 1 word for word.
Simulated X-ray powder pattern
Compound: Li4CuNi3O8
Radiation: Cu Kα (weighted mean of Kα1 and Kα2)
Structure: a cell relaxed with GGA+U
Peak positions follow from Bragg's law for the DFT cell and can differ from measured ones.

Peak list (10 most intense, 2θ = 10–90°, in order of rising 2θ)
2θ/deg	Rel. int.	index
18.54	100	2 0 -1
33.85	24	2 0 1
37.22	24	0 2 1
38.10	11	2 2 0
40.56	31	4 0 0
45.42	44	2 2 -2
47.65	13	4 2 -1
59.75	10	4 2 -3
62.17	14	2 2 2
62.83	14	6 2 -2

Cell lengths 10.5158, 5.5744, 5.7260 Å; angles 90.00, 122.21, 90.00 degrees
Space group C2/m (No. 12)
One atom of each set of equivalent atoms:
Li (0.0000, 0.0000, 0.0000) [2 per cell]
Li (0.0000, 0.5000, 0.0000) [2 per cell]
Li (0.2500, 0.2500, 0.5000) [4 per cell]
Cu (0.0000, 0.0000, 0.5000) [2 per cell]
Ni (0.0000, 0.5000, 0.5000) [2 per cell]
Ni (0.2500, 0.2500, 0.0000) [4 per cell]
O (0.0035, 0.2450, 0.7265) [8 per cell]
O (0.2261, 0.5000, 0.1997) [4 per cell]
O (0.2469, 0.5000, 0.7671) [4 per cell]


1.
The following is a simulated powder X-ray diffraction pattern of CsLiPu2O8. It was derived from DFT lattice parameters and positions (GGA-PBE), using Cu Kα X-rays.
Peak positions follow from Bragg's law for the DFT cell and can differ from measured ones.

Main lines, sorted by position (15° ≤ 2θ ≤ 90°):
21.92°, I = 100, (0 1 1)
25.90°, I = 16, (0 0 2)
30.86°, I = 53, (1 1 0)
31.53°, I = 17, (0 1 2)
33.56°, I = 17, (2 -1 1)
38.18°, I = 26, (2 0 1)
40.71°, I = 30, (2 -1 2)
43.38°, I = 22, (0 1 3)
49.87°, I = 23, (3 -2 1)
56.58°, I = 18, (1 0 4)

Structure:
```
data_CsLiPu2O8
_chemical_formula_sum 'Cs1 Li1 Pu2 O8'
_symmetry_space_group_name_H-M 'P -3'
_symmetry_Int_Tables_number 147
_symmetry_space_group_name_Hall '-P 3'
_cell_length_a 5.7951
_cell_length_b 5.7951
_cell_length_c 6.8799
_cell_angle_alpha 90.00
_cell_angle_beta 90.00
_cell_angle_gamma 120.00
loop_
_atom_site_label
_atom_site_fract_x
_atom_site_fract_y
_atom_site_fract_z
Cs1 0.0000 0.0000 0.0000
Li1 0.0000 0.0000 0.5000
Pu1 0.3333 0.6667 0.4381
O1 0.0582 0.3740 0.6234
O2 0.3333 0.6667 0.1674
```

2.
********
What to do.
Could you filter the lines further above: keep the lines with the word "O2"?
Result.
O2 0.3333 0.6667 0.1674